[Suggestion] Make a new continent (or subarea) with no air allowed

Discussion in 'PlanetSide 2 Gameplay Discussion' started by Megrim, Dec 20, 2012.

  1. Yeo-Yin

    have both no-air and air-only zones would be nice. I can understand and respect people who want epic dogfight. I can understand but i have no respect for people who want to farm others with a completly broken tool.
  2. Jestunhi


    I'm not opposed to something like an orbital map with 2 main ships (and perhaps some other smaller bits) where gal's are required to transport troops and ESFs are vital to keep them safe, etc.

    Or even something air-only (though god knows what the objective would be other than "PWN NEWBS!!!" as all I can see it being is a team deathmatch with just air).


    To confirm, my first example is a ground vehicle free map, air vehicles are vital and then infantry take the ship.
  3. Conq

    This is wrong. The time you are talking about in beta? That was right after a server wipe, no one had SKEP launchers because they took a week to grind out, mines didn't exist and C4 didn't work. All people could do to tanks on the was dumb fire rockets.

    We have the tools to deal with those zergs now, we don't need overpowered air anymore.
  4. Treehuggerish

    This thread is an excellent example of splitting something that doesn't need splitting.
  5. smokemaker

    “"Unfortunately, the rest of us mere mortal..."
    I believe you are the loud minority”
    Most PS2 players are immortal?"

    It took me a second.... then i laughed.

    All arguments aside, there are plenty of games out there for the infantry to play that don't have air. Don't come to PS2 knowing it has aircraft, and asking for a map without them or a weather system preventing them or what ever other game mechanic that in the end would remove air from your pocket of space simple for the reason you dont like them. Go play the games already out there that allow you to run and gun without air. I like PS2 as is. I think ( hope ) I am in the majority. But time will tell.
  6. f0d

    no i dont like the OP's idea at all (limiting is never the answer)
    planetside should be a game of no limits - want to get a tank or aircraft? then go ahead

    if they do this then they should be fair and make areas where infantry or tanks cannot go
  7. Maxi'sProteinPowder

    This!!! In every single way!
  8. Jestunhi

-- begin --
P | The molecule CH5FOP2. Source: OMol25; level of theory: ωB97M-V with the def2-TZVPD basis set.

Summary:
- E_LUMO: -0.03 eV
- Highest occupied orbital energy: -9.444 eV
- Frontier orbital gap: 9.4 eV
- SMILES: COP(F)#[PH2]

The geometry in ORCA input format:
```
! RIJCOSX wB97M-V def2-TZVPD def2/J DEFGRID3
* xyz 0 1
H 1.5667 -0.9513 1.3663
F -0.9455 -1.5204 0.4333
P -0.9261 -0.1011 -2.2849
H -2.2596 -0.0269 -2.1712
C 1.1373 -0.0012 1.3763
H 1.9052 0.6334 1.8904
H 0.2550 -0.0246 2.0767
O 0.8201 0.3142 0.0383
H -0.8221 1.2592 -2.5397
P -0.7310 0.4188 -0.1856
*
```


Q | The molecule CH5FOP2. Source: OMol25; level of theory: ωB97M-V with the def2-TZVPD basis set.

Summary:
- E_LUMO: 0.68 eV
- Highest occupied orbital energy: -8.634 eV
- Frontier orbital gap: 9.3 eV
- SMILES: CO[PH]#[PH]F

The geometry in ORCA input format:
```
! RIJCOSX wB97M-V def2-TZVPD def2/J DEFGRID3
* xyz 0 1
C -1.0794 0.6853 -1.2684
H 1.3429 -1.6841 -0.0784
H -1.5634 0.5090 -0.2976
H -1.5441 0.4851 -2.2768
P 0.1479 -1.1635 0.1469
O -0.0732 -0.3361 -1.2323
H -0.5804 1.5929 -1.4218
H 1.5061 -1.0281 2.4429
F 0.4230 0.8428 2.5302
P 1.4206 0.0966 1.4553
*
```


In terms of stability, Q leads; the second structure lies 0.0084 hartree higher.


P | A cluster of 3 separate species, C4H9NOS in total. Source: OMol25; level of theory: ωB97M-V with the def2-TZVPD basis set.

Summary:
- E_LUMO: -2.92 eV
- Highest occupied orbital energy: -8.442 eV
- Frontier orbital gap: 5.5 eV

The geometry in ORCA input format:
```
! RIJCOSX wB97M-V def2-TZVPD def2/J DEFGRID3
* xyz 0 1
C 0.6698 1.7127 -0.7813
O 2.2170 0.0104 -0.2086
H 0.9561 2.5522 -0.1623
S -2.8748 1.1043 0.0593
H 1.5958 -2.2647 0.6283
H -0.6676 -3.1665 0.4704
C -0.4159 -2.5383 1.3293
H -1.2225 1.1974 -0.9963
H 1.2387 0.1001 -2.0188
C 1.4732 0.5334 -1.0050
H -0.6806 2.8020 -1.7209
H -1.2143 -2.3337 2.0385
C 0.7150 -1.8531 1.1244
H 0.9241 -0.8767 1.5496
N -0.4615 1.8272 -1.5344
H -2.2527 1.1933 1.2278
*
```


Q | The molecule C4H9NOS. Source: OMol25; level of theory: ωB97M-V with the def2-TZVPD basis set.

Summary:
- E_LUMO: 0.84 eV
- Highest occupied orbital energy: -8.962 eV
- Frontier orbital gap: 9.8 eV
- SMILES: CN[C@H](C=O)CS

The geometry in ORCA input format:
```
! RIJCOSX wB97M-V def2-TZVPD def2/J DEFGRID3
* xyz 0 1
H -0.7332 1.3925 -1.5262
H -0.3530 3.4247 0.4600
H -1.7321 -0.2430 0.1023
O 1.5961 -0.7620 -1.6155
H -0.6502 -1.2028 -0.9295
S -0.5139 -1.7838 1.3833
N -0.1832 1.6938 -0.7319
H 0.4874 0.8091 0.9807
C 1.5961 0.0447 -0.7241
C -0.7210 -0.6174 -0.0221
H -1.3671 2.0619 0.9875
H 0.1169 -2.7457 0.6990
C 0.3205 0.5028 -0.0478
H 2.5247 0.5462 -0.4062
C -0.9629 2.5873 0.1246
H -1.7751 3.0424 -0.4437
*
```


In terms of stability, Q leads; the second structure lies 0.1621 hartree higher.


P | The molecule C4H9NOS. Source: OMol25; level of theory: ωB97M-V with the def2-TZVPD basis set.

Summary:
- E_LUMO: 0.71 eV
- Highest occupied orbital energy: -9.130 eV
- Frontier orbital gap: 9.8 eV
- SMILES: CNC(=O)CCS
-- stop --
So much for the quantum chemistry results:

    How about you offer the feedback that you want and stop trying to dictate the feedback I offer?
  9. DemoEvolved

    Stock Maxes can't do anything against pay2win air players.
    There are many good reasons not to like the way the air superiority fighters handle to counter air with air.
    As a player what are you going to do about it?
    Maybe stop playing for the night.
    That is less fun for everyone.

    If stock MAX had a dual AA option MAYBE the air problem would not be so frustrating.

    My vote: Sell MAX other-hand AA gun for 100 certs. See what happens.
  10. Trinith

    We don't need no air, we just need more viable areas for infantry. Underground facilities or larger indoor complexes. Air can get you in the door but once you're there, it's an infantry battle. We have a few of them with bio labs but the main issue there is there's a handful of entry points and it tends to be a camp fest.

    More entry points is nice, but not putting them right beside each other would be better.
  11. smokemaker

    Ok my solution is simple
    You don't like playing on a battlefield with aircraft. PS2 has aircraft, how to balance? Hmmm....!!!!ding ding (light above head)
    Easy = go play a different game. There, its balanced.

    Now if you want to discuss tweaking stats that entirely acceptable, removal is not.
    Getting the shakes, need to log on and farm some infantry.
  12. Jestunhi

    Repeatedly accusing me of asking for air to be removed makes you look the fool, not me.

    I will continue to offer feedback, as will everyone else who posts on this forum. If you don't like that then I suggest YOU leave the forum.
  13. Maxi'sProteinPowder

    I have dual AA guns on my MAX and can rip through esf's but as soon as a light assualt or even a medic get near me im useless as **** on a bull! I mean Cmon were is the logic with this concept, i can rip through metals to blow planes out of the sky, but i can kill infantry 10 feet away from me???? i know there AA and not for Infantry but the sheer explosions from my guns should destroy infantry! So having a full speced out MAX with AA's is not a suitable solution, plus i think it needs a Buff from standard fire from Infantry he is too weak!
    Now saying all this if your protecting a BIolab or any other big areas, you just get plugged by LA,Medics,Engineers that drop pod out of the sky straight onto the top of the labs and slowly pick you off, my AA guns dont do **** to him so i have him and Air to worry about so i dont use the Duall AA MAX anymore because he is a **** for everyone to kill!
  14. Jestunhi

    Only air is allowed to pwn everything. Everyone else has to specialize.

    That's "balance" (as pilots see it).
  15. Yeo-Yin

    plus once again the AA don't allow you to clear the sky as your allies will still be there. For people looking for "inch-by-inch" battles, like me, air is realy boring.
  16. smokemaker

    So you want to be affective against air AND against infantry?
    pick one or the other.
  17. smokemaker

    Finally.... your getting it.. come alittle more and the next thing you know... Bam you in an esf.
  18. Jestunhi

    Like air has to?

== The piece is interrupted by data records ==
~~~
{"formula": "C58H125F6N11O17P", "method": "ωB97M-V with the def2-TZVPD basis set", "orbital_gap_ev": 8.7, "total_charge": -1, "e_tot_ev": -138976.3536, "molar_mass_da": 1393.660, "symbols": ["N", "H", "H", "H", "H", "C", "O", "C", "H", "H", "H", "H", "H", "H", "H", "H", "H", "H", "H", "N", "C", "H", "H", "H", "H", "N", "H", "H", "H", "H", "H", "H", "H", "C", "H", "C", "H", "C", "C", "H", "H", "C", "H", "C", "N", "H", "H", "H", "N", "H", "C", "C", "O", "H", "H", "H", "C", "H", "H", "H", "H", "H", "N", "H", "C", "H", "H", "N", "H", "H", "P", "C", "H", "H", "C", "C", "H", "H", "H", "H", "H", "H", "O", "C", "H", "O", "H", "N", "C", "H", "C", "H", "C", "F", "H", "O", "H", "H", "H", "O", "H", "H", "O", "H", "H", "H", "C", "C", "C", "H", "F", "O", "C", "F", "C", "O", "O", "C", "C", "C", "C", "H", "H", "N", "N", "H", "H", "H", "C", "H", "H", "H", "H", "H", "C", "H", "H", "H", "C", "C", "C", "H", "C", "H", "H", "C", "C", "H", "C", "H", "C", "H", "F", "H", "C", "C", "C", "H", "H", "H", "H", "H", "H", "H", "C", "C", "O", "O", "H", "H", "H", "F", "H", "C", "H", "H", "O", "H", "C", "C", "O", "C", "H", "H", "C", "O", "C", "H", "C", "H", "H", "C", "H", "C", "C", "H", "H", "H", "H", "H", "H", "H", "C", "O", "H", "N", "H", "C", "H", "H", "H", "C", "C", "O", "H", "H", "H", "F"], "coordinates": [[-19.66161, -2.31981, -5.45078], [-11.00373, -2.11884, -1.58074], [-10.13367, 1.73994, -11.72615], [-19.80640, 9.11540, -8.49587], [-19.98791, 2.56205, 1.90862], [-15.80059, -1.15369, -0.80219], [-14.08570, 6.99342, -0.62712], [-10.24671, 7.61180, 0.22500], [-12.86756, 5.13386, -11.30099], [-16.58756, 10.19886, -4.11548], [-16.93549, 5.82080, 0.42963], [-19.99893, -4.03628, -6.58400], [-18.72016, -1.35240, -1.16067], [-18.21574, 0.06154, -5.54635], [-21.08280, 2.27542, -7.14349], [-11.30163, 7.41923, -1.62168], [-16.27153, 2.79871, -10.10153], [-9.51080, 4.92379, -8.98476], [-17.25556, -1.08938, -3.63186], [-18.80257, 3.04660, -8.84694], [-22.19591, 1.91066, -8.84909], [-10.29640, 3.58475, -6.93584], [-17.55843, 7.34868, -9.07619], [-23.65371, -0.52989, -12.28493], [-13.77851, -2.68794, -3.61167], [-11.47971, 1.88993, -3.80713], [-17.95750, 6.22146, -4.95575], [-16.22553, 2.55616, -8.26559], [-24.30350, 3.03886, -9.88528], [-14.54944, 6.91302, -7.29804], [-10.87027, 5.75244, -9.07068], [-11.93107, -0.59810, -1.62502], [-13.93072, 5.53194, -2.14119], [-16.41426, 6.21498, -7.87751], [-19.46609, 11.57215, -7.57916], [-10.66289, 2.95793, -3.90890], [-16.69032, 5.88445, -2.37030], [-12.02832, -1.85817, -7.62637], [-18.11428, 3.17778, 0.94138], [-11.26346, 8.59187, -4.06586], [-12.09923, 5.45672, -4.73742], [-13.72711, -0.44258, -6.94389], [-22.99325, 1.70430, -11.39084], [-16.80380, 9.54163, -4.95773], [-23.38895, 1.29841, -9.38485], [-13.15802, 1.07634, -8.37166], [-13.79961, 5.63090, -4.72465], [-18.44157, 9.82433, -8.95577], [-14.07191, 1.28307, 1.28016], [-14.45199, 1.10164, 2.19816], [-14.58023, 6.33780, -1.79935], [-17.94435, -4.09278, -5.87104], [-10.39923, 6.15147, 2.14150], [-17.95242, 11.99340, -5.02521], [-15.57370, 5.97170, -6.16402], [-16.34341, 9.56009, -7.15102], [-12.08063, -1.58840, -3.37566], [-17.97649, 3.94559, -4.73234], [-11.85206, 4.44732, -6.98908], [-12.90539, 3.32743, -8.76730], [-18.13400, 4.25607, 0.78324], [-13.63521, 3.01345, -1.33824], [-12.90283, 6.01702, -4.98313], [-20.30192, -1.51034, -7.23513], [-18.03341, 2.00046, -9.24040], [-18.60205, -1.78206, -7.15056], [-15.96762, 1.29230, -9.33992], [-18.74394, 3.93492, -4.07584], [-15.06755, -0.22137, -2.69896], [-16.53853, 14.05037, -5.28647], [-15.32528, 2.70120, -4.93016], [-9.19493, 2.57445, -3.84212], [-18.41978, 12.99104, -6.45278], [-14.38880, 4.53686, -10.65232], [-16.56303, 2.19970, -9.23880], [-17.79883, -1.64829, -1.66236], [-19.68662, -4.48155, -4.91169], [-8.64353, 2.93560, -4.71025], [-22.07255, 2.96748, -9.08574], [-8.71701, 3.02680, -2.97316], [-11.33305, 0.19933, -7.70879], [-15.53331, 10.78340, -6.26311], [-16.84586, -1.89361, -0.65312], [-10.09769, 5.70091, -1.26806], [-16.88556, 7.27328, -0.61880], [-14.83408, -1.24642, -0.01998], [-11.35523, -0.54364, -9.35780], [-15.41394, 6.46404, -7.03130], [-10.30873, 7.24793, -1.20587], [-16.40035, 2.34745, 0.18886], [-19.44049, -3.75912, -5.68990], [-10.98497, 8.34277, 0.55477], [-10.44088, 2.51465, -9.64211], [-15.44296, 1.11950, -5.26531], [-9.06716, 5.48328, -1.54866], [-10.98814, 4.11497, -4.08607], [-15.90124, 4.57110, -1.50243], [-18.41117, 3.87873, -8.42926], [-10.25739, 0.60569, -10.50522], [-20.30865, 5.12735, -3.13291], [-10.67246, 1.94426, -8.74260], [-17.43616, -3.94629, -4.91795], [-13.73738, 8.11920, -5.13232], [-15.86198, 13.27668, -6.77642], [-18.28334, 8.78789, -7.57764], [-20.80197, -3.73285, -3.38009], [-18.90263, 10.76851, -7.10505], [-20.96451, -2.09153, -4.87717], [-13.35445, 4.76742, -10.39725], [-20.80529, -1.99682, -2.84333], [-16.52450, 3.09433, -6.03072], [-19.95172, 0.30267, 0.51000], [-22.99713, 0.81967, -10.75404], [-15.32889, 4.28201, -4.47168], [-13.26380, -0.00741, -8.32292], [-17.36000, 5.52033, -7.60400], [-18.02717, 1.06978, -0.04704], [-10.71463, 1.54191, -10.82539], [-11.79548, -0.54184, -8.36066], [-23.92156, -0.28402, -11.25737], [-16.34229, 6.38835, -0.28738], [-16.13227, 8.71616, -4.72165], [-22.30041, -2.92942, -3.27652], [-11.12615, 3.75788, -9.69727], [-13.03374, -2.19359, -4.08181], [-17.85043, -2.62173, -2.15007], [-17.51846, -3.54990, -6.71484], [-16.00298, 0.80064, -1.69097], [-19.15551, 0.01812, -6.09685], [-15.99410, 8.04651, -8.97845], [-13.19755, -2.12565, -5.07612], [-22.82071, 2.45190, -6.82492], [-10.71880, 6.98504, -4.46827], [-11.26120, 0.91637, -3.96376], [-17.63804, 12.38739, -5.99166], [-12.45865, 2.12041, -3.71404], [-21.79249, -2.40902, -5.51101], [-13.86592, -0.34768, -9.16540], [-11.31702, 7.81983, -4.83344], [-19.52892, 2.67050, 0.92593], [-19.00996, 6.35226, -4.70414], [-24.99435, -0.13242, -11.13795], [-19.37809, 5.09517, -3.92622], [-10.86037, 5.23831, -1.89451], [-20.02460, 0.46811, -5.61697], [-10.56429, 4.75232, 
~~~

    Oh snap...

-- Records of molecules, kept here for reference --
- - -
No. 1
{
  "formula": "C43H46Cl2KN9O3P2S2",
  "method": "ωB97M-V with the def2-TZVPD basis set",
  "species": ["K", "Cl", "Cl", "S", "S", "P", "P", "O", "O", "O", "N", "N", "N", "N", "N", "N", "N", "N", "N", "C", "C", "C", "C", "C", "C", "C", "C", "C", "C", "C", "C", "C", "C", "C", "C", "C", "C", "C", "C", "C", "C", "C", "C", "C", "C", "C", "C", "C", "C", "C", "C", "C", "C", "C", "C", "C", "C", "C", "C", "C", "C", "C", "H", "H", "H", "H", "H", "H", "H", "H", "H", "H", "H", "H", "H", "H", "H", "H", "H", "H", "H", "H", "H", "H", "H", "H", "H", "H", "H", "H", "H", "H", "H", "H", "H", "H", "H", "H", "H", "H", "H", "H", "H", "H", "H", "H", "H", "H"],
- - -


    I wonder what pilots would say if their weapons did as little damage to the target type which they are not designed for as AA MAX does.

    e.g. their roflpods didn't even scratch anything but ground vehicles.
  19. TheMeph

    Has nothing to do with aiming and you know it. An air unit can kill any AA in less than a clip, while any AA unit would need at least a full reload. No AA will stand a chance when it has an ESF/Lib's full attention.
  20. Maxi'sProteinPowder

    I dont think you understood what i wrote "Why is it that i can blow away huge pieces of metal but cant kill Infantry from 10 feet away, is there logic to that" hell i'd understand if he was a TERMINATOR or ****, Let me put it this way then "Why do rocket pods insta kill AI, they should make them AA or anti tank only and not do anything to AI like my bursters!"